School Council and Student Voice
Queen Elizabeth's Girls' School first established a School Council to represent the students in 1930. This makes the school something of a pioneer in 'Student Voice' long before the idea became fashionable. Some 80 years on, the school remains committed to encouraging our students to be active citizens of the school community.
The School Council is elected at the beginning of each academic year on the basis of 'one student, one vote' on an all-school election day.
The School Council is chaired by the Head Girl. The other 16 members include 3 representatives of each Year Group 7 to 11 and one Sixth Form representative who also acts as School Council Secretary. There is a designated member of staff with responsibility for making sure that there are good contacts between the School Council and the staff.
What is the role of the School Council?
The School Council:
- Meets once a fortnight.
- Represents students and gives them a voice in how the School is run.
• Inserted here: calculated crystals:
+++
[1]
Computed, not measured: a relaxed structure of LaBePb at the PBE-GGA level of DFT.

Cell: 4.9599 5.0048 11.8584 Å, 90.00 90.00 90.00°
Closest atoms and distances in Å follow each position.
Fractional positions:
La 0.0000 0.0000 0.0000  4 Be 3.17-3.19, 1 Pb 3.37, 4 La 3.52
La 0.0000 0.5000 0.5000  4 Be 3.17-3.19, 1 Pb 3.37, 4 La 3.52
La 0.5000 0.0000 0.5000  4 Be 3.17-3.19, 1 Pb 3.37, 4 La 3.52
La 0.5000 0.5000 0.0000  4 Be 3.17-3.19, 1 Pb 3.37, 4 La 3.52
Be 0.0000 0.0000 0.3335  4 Pb 2.84-2.86, 2 La 3.17
Be 0.0000 0.5000 0.8335  4 Pb 2.84-2.86, 2 La 3.17
Be 0.5000 0.0000 0.8335  4 Pb 2.84-2.86, 2 La 3.17
Be 0.5000 0.5000 0.3335  4 Pb 2.84-2.86, 2 La 3.17
Pb 0.0000 0.0000 0.7160  4 Be 2.84-2.86
Pb 0.0000 0.5000 0.2160  4 Be 2.84-2.86
Pb 0.5000 0.0000 0.2160  4 Be 2.84-2.86
Pb 0.5000 0.5000 0.7160  4 Be 2.84-2.86

Properties
energy of formation = 0.08 eV per atom
space group = Fmm2
N(E_F) = 0.446 states/eV/atom
excess energy over the best structure of this formula in the dataset = 0.3545 eV/atom
total DFT energy (no corrections) = -4.04 eV/atom

=====

[2]
Computed, not measured: a relaxed structure of LaBe2Pb at the PBE-GGA level of DFT.

Cell: 3.5427 3.5427 6.7239 Å, 90.00 90.00 90.00°
Closest atoms and distances in Å follow each position.
Fractional positions:
La 0.0000 0.0000 0.0000  8 Be 3.27, 2 Pb 3.36, 4 La 3.54
Be 0.5000 0.5000 0.3122  1 Be 2.53, 4 Pb 2.81
Be 0.5000 0.5000 0.6878  1 Be 2.53, 4 Pb 2.81
Pb 0.0000 0.0000 0.5000  8 Be 2.81

Properties
energy of formation = 0.36 eV per atom
space group = P4/mmm
N(E_F) = 0.558 states/eV/atom
total DFT energy (no corrections) = -3.66 eV/atom

=====

> Among the records above, which one has the highest total DFT energy (no corrections)?

LaBe2Pb

=====

> Which of these has the highest total DFT energy (no corrections)?

LaBe2Pb

=====

> Among the records above, which one has the lowest energy of formation?

LaBePb

=====

> What is the energy of formation in the first record?

0.08 eV per atom

* * * * *

# 1
## TlAsPtCl (PBE)

Data for a relaxed structure of TlAsPtCl.

The structure in extended XYZ format:
```
4
Lattice="3.7220 0.0000 0.0000 1.8606 3.2236 0.0000 1.8311 1.0390 8.8056" Properties=species:S:1:pos:R:3 pbc="T T T"
Tl 0.0000 0.0000 0.0000
As 1.8304 1.0359 4.0385
Pt 5.5511 3.1841 2.8876
Cl 3.6925 2.1148 6.9217
```

Computed properties:
The value obtained for the energy relative to the elements, uncorrected is -1.36 eV per formula unit. The energy relative to the lowest polymorph listed for this composition comes out at 11 meV per atom.

***

# 2
## TlAsPtCl (PBE)

Data for a relaxed structure of TlAsPtCl.

The structure in extended XYZ format:
```
4
Lattice="3.5671 0.0000 0.0000 0.0746 5.7231 0.0000 1.6646 2.3153 5.1337" Properties=species:S:1:pos:R:3 pbc="T T T"
Tl 0.0000 0.0000 0.0000
As 3.4560 5.1965 3.2718
Pt 1.6767 5.1664 4.8271
Cl 3.4619 2.8334 2.2954
```

Computed properties:
+++
• The calculated crystals stop here:
- Enables students to identify issues that concern them about the School and to communicate those concerns to teachers and school management.
- Has an input in the drafting and implementation of new school rules and policies.
- Gets to question the Head Teacher at regular question and answer sessions and liaise with the local Police on issues affecting students.
- Runs campaigns on particular issues such as recycling or other general issues in the School.
- Runs a Students as Researchers programme.
- Provides an opportunity for students to acquire valuable citizenship skills and to contribute to the school community.
What is Student Voice?
Student Voice is an intrinsic part of our on-going efforts to maintain the outstanding quality of teaching and learning across the School. Students meet on a weekly basis as part of a voluntary forum. At Student Voice meetings we discuss matters of whole school and year-group concern, helping to generate the agenda to be further discussed at Student Council.
Student Voice
- Meets once a week
- Provides a voice for the unelected Student body
- Has an input into the School Council Agenda
- Provides an opportunity for a wide variety of students to acquire valuable communication and citizenship skills and to contribute to the school community as a whole.
- Runs fundraising projects – Moat recently collection and sending of stationery products to Lindani High School in South Africa.
The School's Student Voice agenda also includes participation in the Children's Commissioner for England's annual 'Takeover Day'. Students vote to elect a student 'Head Teacher for the Day', 'Deputy Head and Teacher for the Day'. The successful candidates shadow these for the day, gaining an insight into the challenges of running the School and acting as representatives of the student body.
Student Voice is an intrinsic part of our on-going efforts to maintain the outstanding quality of teaching and learning across the School. Students are regularly consulted as part of the Departmental Review process. Students at Queen Elizabeth’s Girls’ School feel their views are valued within the school community.
The UN Convention on the Rights of the Child (1989) guarantees every young person the right to be heard in the decisions that affect her life. QEGS remains dedicated to this principle and continues to give all our students a voice in the life and running of the School.